What to do
Print the part of the material underneath that starts with the line with "11.3183 Å;" and stops after the one with "0.3924 x2".
Material
- - -
Entry 1:
Material: Li3Tl2Cd
Method: DFT, meta-GGA r2SCAN
State: relaxed

abc: 3.379 3.379 10.230
angles: 90.00 90.00 90.00
Positions (direct):
1 Li 0.000 0.000 0.000
2 Li 0.000 0.000 0.339
3 Li 0.000 0.000 0.661
4 Tl 0.500 0.500 0.175
5 Tl 0.500 0.500 0.825
6 Cd 0.500 0.500 0.500

Results
V: 117 Å³/f.u.
calculated formation energy: -0.275 eV/atom

=====

Entry 2:
Material: Li2TlCd
Method: DFT, meta-GGA r2SCAN
State: relaxed

abc: 4.792 4.792 4.792
angles: 60.00 60.00 60.00
Positions (direct):
1 Li 0.000 0.000 0.000
2 Li 0.250 0.250 0.250
3 Tl 0.750 0.750 0.750
4 Cd 0.500 0.500 0.500

Results
V: 78 Å³/f.u.
calculated formation energy: -0.273 eV/atom

=====

Entry 3:
Material: Li4ZnCd3
Method: DFT, meta-GGA r2SCAN
State: relaxed

abc: 8.005 8.005 8.005
angles: 33.50 33.50 33.50
Positions (direct):
1 Li 0.000 0.000 0.000
2 Li 0.123 0.123 0.123
3 Li 0.501 0.501 0.501
4 Li 0.629 0.629 0.629
5 Zn 0.750 0.750 0.750
6 Cd 0.251 0.251 0.251
7 Cd 0.379 0.379 0.379
8 Cd 0.871 0.871 0.871

Results
V: 139 Å³/f.u.
calculated formation energy: -0.250 eV/atom

=====

Entry 4:
Material: LuCd3
Method: DFT, meta-GGA r2SCAN
State: relaxed

abc: 6.358 6.358 4.774
angles: 90.00 90.00 111.58
Positions (direct):
1 Lu 0.128 0.872 0.750
2 Lu 0.872 0.128 0.250
3 Cd 0.189 0.383 0.750
4 Cd 0.321 0.679 0.250
5 Cd 0.383 0.189 0.250
6 Cd 0.617 0.811 0.750
7 Cd 0.679 0.321 0.750
8 Cd 0.811 0.617 0.250

Results
V: 90 Å³/f.u.
calculated formation energy: -0.267 eV/atom

=====

> What is the calculated formation energy in the first record?

-0.275 eV/atom

=====

> Which value of V does entry 4 give?

90 Å³/f.u.


Record 1
Compound: P3W2O13
Source: the Materials Project database
Functional: PBE with a Hubbard U
Structure: relaxed

Output
* E (MP2020): -8.340 eV/atom
* distance to the lowest polymorph of the same formula: 0.008 eV per atom
* volume: 14.6 Å³ per atom
* DFT formation energy: -2.424 eV/atom

Cell lengths 6.4520, 7.5463, 11.3183 Å; angles 76.41, 86.24, 79.75 degrees
Space group P-1 (No. 2)
One atom of each set of equivalent atoms:
P 0.1186 0.4752 0.3111 x2
P 0.2614 0.7983 0.3347 x2
P 0.2643 0.9349 0.8903 x2
W 0.2109 0.2098 0.0935 x2
W 0.2381 0.2005 0.5935 x2
O 0.0806 0.7872 0.4288 x2
O 0.0934 0.8090 0.9059 x2
O 0.1077 0.4535 0.6589 x2
O 0.1418 0.3774 0.2030 x2
O 0.2129 0.3752 0.9589 x2
O 0.2225 0.0992 0.7841 x2
O 0.2404 0.6474 0.2557 x2
O 0.2422 0.9867 0.2468 x2
O 0.2456 0.3500 0.4170 x2
O 0.2648 0.0017 0.0105 x2
O 0.3094 0.9775 0.5725 x2
O 0.4734 0.7318 0.3942 x2
O 0.4805 0.8090 0.8833 x2

***

Record 2
Compound: PW5O17
Source: the Materials Project database
Functional: PBE with a Hubbard U
Structure: relaxed

Output
* magnetization: 2.2 μB per cell
* E (MP2020): -8.976 eV/atom
* distance to the lowest polymorph of the same formula: 0.002 eV per atom
* volume: 14.4 Å³ per atom
* DFT formation energy: -2.266 eV/atom

Cell lengths 5.3906, 36.8050, 6.6832 Å; angles 90.00, 90.08, 90.00 degrees
Space group P2_1 (No. 4)
One atom of each set of equivalent atoms:
P 0.0031 0.0000 0.4441 x2
P 0.4723 0.9393 0.9458 x2
W 0.0000 0.0706 0.0905 x2
W 0.0059 0.1567 0.7562 x2
W 0.0094 0.2408 0.4179 x2
W 0.0127 0.3249 0.0789 x2
W 0.0189 0.4110 0.7486 x2
W 0.4804 0.8689 0.5916 x2
W 0.4867 0.7831 0.2555 x2
W 0.4926 0.6994 0.9130 x2
W 0.4953 0.0282 0.7513 x2
W 0.4991 0.1144 0.4225 x2
O 0.0013 0.1968 0.5900 x2
O 0.0077 0.5242 0.7435 x2
O 0.0075 0.6101 0.0807 x2
O 0.0161 0.2851 0.2466 x2
O 0.0193 0.3702 0.9090 x2
O 0.0238 0.4601 0.6220 x2
O 0.1961 0.7662 0.3918 x2
O 0.1999 0.8532 0.7345 x2
O 0.2099 0.6787 0.0555 x2
O 0.2131 0.5085 0.4126 x2
O 0.2159 0.1297 0.5649 x2
O 0.2189 0.2159 0.2300 x2
O 0.2196 0.9344 0.0496 x2
O 0.2211 0.0432 0.9002 x2
O 0.2240 0.5914 0.7273 x2
O 0.2334 0.3039 0.8934 x2
O 0.2469 0.3925 0.5639 x2
O 0.2511 0.8966 0.4054 x2
O 0.2567 0.0044 0.5489 x2
O 0.2699 0.8093 0.0634 x2
O 0.2779 0.0865 0.2328 x2
O 0.2807 0.5468 0.0626 x2
O 0.2832 0.6355 0.3924 x2
O 0.2861 0.7219 0.7259 x2
O 0.2891 0.1726 0.8985 x2
O 0.2976 0.3479 0.2272 x2
O 0.3057 0.2606 0.5606 x2
- - -
Completed
Cell lengths 6.4520, 7.5463, 11.3183 Å; angles 76.41, 86.24, 79.75 degrees
Space group P-1 (No. 2)
One atom of each set of equivalent atoms:
P 0.1186 0.4752 0.3111 x2
P 0.2614 0.7983 0.3347 x2
P 0.2643 0.9349 0.8903 x2
W 0.2109 0.2098 0.0935 x2
W 0.2381 0.2005 0.5935 x2
O 0.0806 0.7872 0.4288 x2
O 0.0934 0.8090 0.9059 x2
O 0.1077 0.4535 0.6589 x2
O 0.1418 0.3774 0.2030 x2
O 0.2129 0.3752 0.9589 x2
O 0.2225 0.0992 0.7841 x2
O 0.2404 0.6474 0.2557 x2
O 0.2422 0.9867 0.2468 x2
O 0.2456 0.3500 0.4170 x2
O 0.2648 0.0017 0.0105 x2
O 0.3094 0.9775 0.5725 x2
O 0.4734 0.7318 0.3942 x2
O 0.4805 0.8090 0.8833 x2

***

Record 2
Compound: PW5O17
Source: the Materials Project database
Functional: PBE with a Hubbard U
Structure: relaxed

Output
* magnetization: 2.2 μB per cell
* E (MP2020): -8.976 eV/atom
* distance to the lowest polymorph of the same formula: 0.002 eV per atom
* volume: 14.4 Å³ per atom
* DFT formation energy: -2.266 eV/atom

Cell lengths 5.3906, 36.8050, 6.6832 Å; angles 90.00, 90.08, 90.00 degrees
Space group P2_1 (No. 4)
One atom of each set of equivalent atoms:
P 0.0031 0.0000 0.4441 x2
P 0.4723 0.9393 0.9458 x2
W 0.0000 0.0706 0.0905 x2
W 0.0059 0.1567 0.7562 x2
W 0.0094 0.2408 0.4179 x2
W 0.0127 0.3249 0.0789 x2
W 0.0189 0.4110 0.7486 x2
W 0.4804 0.8689 0.5916 x2
W 0.4867 0.7831 0.2555 x2
W 0.4926 0.6994 0.9130 x2
W 0.4953 0.0282 0.7513 x2
W 0.4991 0.1144 0.4225 x2
O 0.0013 0.1968 0.5900 x2
O 0.0077 0.5242 0.7435 x2
O 0.0075 0.6101 0.0807 x2
O 0.0161 0.2851 0.2466 x2
O 0.0193 0.3702 0.9090 x2
O 0.0238 0.4601 0.6220 x2
O 0.1961 0.7662 0.3918 x2
O 0.1999 0.8532 0.7345 x2
O 0.2099 0.6787 0.0555 x2
O 0.2131 0.5085 0.4126 x2
O 0.2159 0.1297 0.5649 x2
O 0.2189 0.2159 0.2300 x2
O 0.2196 0.9344 0.0496 x2
O 0.2211 0.0432 0.9002 x2
O 0.2240 0.5914 0.7273 x2
O 0.2334 0.3039 0.8934 x2
O 0.2469 0.3925 0.5639 x2
O 0.2511 0.8966 0.4054 x2
O 0.2567 0.0044 0.5489 x2
O 0.2699 0.8093 0.0634 x2
O 0.2779 0.0865 0.2328 x2
O 0.2807 0.5468 0.0626 x2
O 0.2832 0.6355 0.3924 x2